The road to success leads through the valley of humility, and the path is up the ladder of patience and across the wide barren plains of perseverance. As yet, no shortcut has been discovered. ~Joseph L. Lamb

## Records of crystals that have nothing to do with the article
/*
[1]
# ReOs6W
Theoretical X-ray diffraction stick pattern, Cu Kα, 1.54184 Å. Input: a DFT-relaxed cell (GGA-PBE, OQMD).
No peak broadening, texture or thermal motion is included.

Structure:
Cell: 5.530 5.530 4.381 Å, 90.00 90.00 120.00°
Element x y z (fractional)
Re 0.000 0.000 0.000
Os 0.002 0.501 0.000
Os 0.166 0.331 0.500
Os 0.166 0.834 0.500
Os 0.499 0.501 0.000
Os 0.499 0.998 0.000
Os 0.669 0.834 0.500
W 0.667 0.333 0.500

Top 10 peaks for 2θ from 10° to 90°, sorted by position:
| 2θ/deg | I_rel |
| --- | --- |
| 37.56 | 24 |
| 41.21 | 25 |
| 43.05 | 100 |
| 56.98 | 15 |
| 67.79 | 18 |
| 76.39 | 19 |
| 80.17 | 3 |
| 82.51 | 21 |
| 83.76 | 15 |
| 89.49 | 3 |

---

[2]
# Zr2ReOs3
Theoretical X-ray diffraction stick pattern, Cu Kα, 1.54184 Å. Input: a DFT-relaxed cell (GGA-PBE, OQMD).
No peak broadening, texture or thermal motion is included.

Structure:
Cell: 5.301 5.301 8.429 Å, 90.00 90.00 120.00°
Element x y z (fractional)
Zr 0.333 0.667 0.063
Zr 0.333 0.667 0.437
Zr 0.667 0.333 0.563
Zr 0.667 0.333 0.937
Re 0.000 0.000 0.000
Re 0.000 0.000 0.500
Os 0.173 0.345 0.750
Os 0.173 0.827 0.750
Os 0.345 0.173 0.250
Os 0.655 0.827 0.750
Os 0.827 0.173 0.250
Os 0.827 0.655 0.250

Top 10 peaks for 2θ from 10° to 90°, sorted by position:
| 2θ/deg | I_rel |
| --- | --- |
| 19.33 | 27 |
| 37.53 | 45 |
| 40.19 | 87 |
| 40.74 | 100 |
| 42.92 | 27 |
| 44.97 | 41 |
| 64.82 | 22 |
| 69.14 | 28 |
| 71.14 | 28 |
| 86.82 | 22 |

---

[3]
# Os9S8
Theoretical X-ray diffraction stick pattern, Cu Kα, 1.54184 Å. Input: a DFT-relaxed cell (GGA-PBE, OQMD).
No peak broadening, texture or thermal motion is included.

Structure:
Cell: 7.397 7.397 7.397 Å, 60.00 60.00 60.00°
Element x y z (fractional)
Os 0.000 0.000 0.000
Os 0.124 0.625 0.625
Os 0.375 0.375 0.375
Os 0.375 0.375 0.876
Os 0.375 0.876 0.375
Os 0.625 0.124 0.625
Os 0.625 0.625 0.124
Os 0.625 0.625 0.625
Os 0.876 0.375 0.375
S 0.226 0.226 0.774
S 0.226 0.774 0.226
S 0.226 0.774 0.774
S 0.250 0.250 0.250
S 0.750 0.750 0.750
S 0.774 0.226 0.226
S 0.774 0.226 0.774
S 0.774 0.774 0.226

Top 10 peaks for 2θ from 10° to 90°, sorted by position:
| 2θ/deg | I_rel |
| --- | --- |
| 14.67 | 29 |
| 28.29 | 100 |
| 34.29 | 34 |
| 37.47 | 15 |
| 45.03 | 42 |
| 49.27 | 81 |
| 57.79 | 14 |
| 68.95 | 24 |
| 72.25 | 13 |
| 79.32 | 14 |

---

[4]
# ZnOs5S3
Theoretical X-ray diffraction stick pattern, Cu Kα, 1.54184 Å. Input: a DFT-relaxed cell (GGA-PBE, OQMD).
No peak broadening, texture or thermal motion is included.

Structure:
Cell: 7.418 7.418 2.945 Å, 90.00 90.00 120.00°
Element x y z (fractional)
Zn 0.000 0.000 0.000
Os 0.000 0.286 0.500
Os 0.286 0.000 0.500
Os 0.333 0.667 0.500
Os 0.667 0.333 0.500
Os 0.714 0.714 0.500
S 0.000 0.525 0.000
S 0.475 0.475 0.000
S 0.525 0.000 0.000

Top 10 peaks for 2θ from 10° to 90°, sorted by position:
| 2θ/deg | I_rel |
| --- | --- |
| 23.99 | 100 |
| 30.35 | 52 |
| 37.02 | 41 |
| 39.05 | 62 |
| 41.60 | 58 |
| 42.20 | 79 |
| 48.60 | 47 |
| 52.86 | 66 |
| 71.59 | 30 |
| 78.89 | 29 |

---
*/

Sunday, December 17, 2017

<<<
Starting from a structure optimized by DFT (PBE), the XRD peak list of NpAlCuO6 was computed for a wavelength of 1.5418 Å.
Peak positions follow from Bragg's law for the DFT cell and can differ from measured ones.

Largest 10 diffraction maxima, sorted by position, 2θ = 15–90°:
2θ 20.08, I 29, (0 0 2); 2θ 22.28, I 100, (1 0 1); 2θ 28.39, I 76, (1 0 2); 2θ 34.76, I 44, (1 1 0); 2θ 36.51, I 32, (1 0 3); 2θ 40.47, I 30, (1 1 2); 2θ 41.68, I 23, (2 0 1); 2θ 45.47, I 21, (2 0 2); 2θ 54.66, I 42, (1 1 4); 2θ 55.36, I 20, (3 -1 1)

Atomic structure:
Lattice parameters (Å, degrees): 5.1617 5.1617 8.8450 90.00 90.00 120.00
Space group P-31c (No. 163)
Inequivalent atoms, fractional coordinates:
Np (0.3333, 0.6667, 0.2500)
Al (0.3333, 0.6667, 0.7500)
Cu (0.0000, 0.0000, 0.0000)
O (0.0159, 0.3543, 0.6335)

Starting from a structure optimized by DFT (PBE), the XRD peak list of Ba2Ga3Ag9 was computed for a wavelength of 1.5418 Å.
Peak positions follow from Bragg's law for the DFT cell and can differ from measured ones.

Largest 10 diffraction maxima, sorted by position, 2θ = 15–90°:
2θ 32.12, I 30, (2 2 -3); 2θ 32.84, I 26, (5 1 -1); 2θ 33.48, I 49, (3 1 -4); 2θ 34.38, I 99, (0 2 3); 2θ 35.37, I 44, (0 0 4); 2θ 36.42, I 62, (6 0 -2); 2θ 37.62, I 100, (3 3 -1); 2θ 39.19, I 22, (4 2 1); 2θ 40.70, I 26, (5 1 1); 2θ 66.34, I 24, (9 3 -3)

Atomic structure:
Lattice parameters (Å, degrees): 14.8099 8.2001 11.4282 90.00 117.36 90.00
Space group C2/c (No. 15)
Inequivalent atoms, fractional coordinates:
Ba (0.1710, 0.0912, 0.2416)
Ga (0.0847, 0.2339, 0.4971)
Ga (0.2500, 0.2500, 0.0000)
Ag (0.0000, 0.3727, 0.2500)
Ag (0.0595, 0.0850, 0.9153)
Ag (0.0845, 0.4204, 0.0029)
Ag (0.0992, 0.3229, 0.7423)
Ag (0.2278, 0.4186, 0.4402)

Starting from a structure optimized by DFT (PBE), the XRD peak list of DyPuPt4 was computed for a wavelength of 1.5418 Å.
Peak positions follow from Bragg's law for the DFT cell and can differ from measured ones.

Largest 10 diffraction maxima, sorted by position, 2θ = 15–90°:
2θ 19.96, I 5, (1 1 1); 2θ 32.88, I 27, (2 2 0); 2θ 38.76, I 100, (3 1 1); 2θ 40.56, I 40, (2 2 2); 2θ 58.70, I 11, (4 2 2); 2θ 62.65, I 33, (5 1 1); 2θ 68.94, I 29, (4 4 0); 2θ 78.51, I 5, (6 2 0); 2θ 82.00, I 12, (5 3 3); 2θ 83.16, I 16, (6 2 2)

Atomic structure:
Lattice parameters (Å, degrees): 7.7054 7.7054 7.7054 90.00 90.00 90.00
Space group F-43m (No. 216)
Inequivalent atoms, fractional coordinates:
Dy (0.0000, 0.0000, 0.0000)
Pu (0.2500, 0.2500, 0.7500)
Pt (0.1249, 0.1249, 0.3751)

Starting from a structure optimized by DFT (PBE), the XRD peak list of V6P3C was computed for a wavelength of 1.5418 Å.
Peak positions follow from Bragg's law for the DFT cell and can differ from measured ones.

Largest 10 diffraction maxima, sorted by position, 2θ = 15–90°:
>>>
Here the text continues =

Bend: Is it the Origin of Self-Carriage?

What comes next are materials data, not part of the text.
____________
The following is a simulated powder X-ray diffraction pattern of Li2Ag2F7. It was derived from the PBE geometry in Alexandria, using Cu Kα X-rays.
Intensities are scaled so that the largest is 100.

```
Li2Ag2F7
1.0
4.642 -3.589 0.000
4.642 3.589 0.000
-2.604 0.000 5.049
Li Ag F
2 2 7
direct
0.199 0.801 0.000
0.801 0.199 0.000
0.219 0.219 0.643
0.752 0.752 0.404
0.024 0.024 0.267
0.038 0.038 0.803
0.432 0.432 0.990
0.517 0.925 0.151
0.568 0.966 0.664
0.925 0.517 0.151
0.966 0.568 0.664
```

Largest 10 diffraction maxima, low angle first, 2θ = 10–80°:
2θ/deg	d [Å]	I (rel.)
17.57	5.049	31.1
20.12	4.414	100.0
20.63	4.305	41.0
21.54	4.126	69.7
24.81	3.589	38.8
30.56	2.925	23.4
31.61	2.831	34.5
37.79	2.380	32.8
43.89	2.063	40.2
52.72	1.736	21.5

---

The following is a simulated powder X-ray diffraction pattern of Ac2Mg3Zn9. It was derived from the PBE geometry in Alexandria, using Cu Kα X-rays.
Intensities are scaled so that the largest is 100.

```
Ac2Mg3Zn9
1.0
7.193 -4.219 0.000
7.193 4.219 0.000
0.000 0.000 9.469
Ac Mg Zn
4 6 18
direct
0.010 0.673 0.750
0.327 0.990 0.750
0.673 0.010 0.250
0.990 0.327 0.250
0.000 0.000 0.000
0.000 0.000 0.500
0.313 0.313 0.000
0.313 0.313 0.500
0.687 0.687 0.000
0.687 0.687 0.500
0.035 0.659 0.099
0.035 0.659 0.401
0.158 0.842 0.250
0.341 0.659 0.523
0.341 0.659 0.977
0.341 0.965 0.099
0.341 0.965 0.401
0.358 0.462 0.250
0.462 0.358 0.750
0.538 0.642 0.250
0.642 0.538 0.750
0.659 0.035 0.599
0.659 0.035 0.901
0.659 0.341 0.023
0.659 0.341 0.477
0.842 0.158 0.750
0.965 0.341 0.599
0.965 0.341 0.901
```

Largest 10 diffraction maxima, low angle first, 2θ = 10–80°:
2θ/deg	d [Å]	I (rel.)
18.74	4.735	27.0
21.31	4.169	23.9
23.31	3.816	38.4
31.23	2.864	21.8
35.52	2.527	39.4
35.68	2.517	100.0
37.06	2.426	60.1
37.51	2.398	26.6
37.72	2.385	41.6
43.78	2.068	22.5
____________
End of the materials data.

This article is the second in a series of articles that will serve to discuss in depth the various tiers of the USDF Training Pyramid. Every dressage rider should be very familiar with this Pyramid. They are as follows: Rhythm, with Energy and Tempo; Relaxation, with Elasticity and Suppleness; Connection-Acceptance of the Bit through Acceptance of the Aids; Impulsion-Increased Energy and Thrust; Straightness with Improved Alignment and Balance; and Collection-Increased Engagement, Lightness of the Forehand, Self-Carriage. A pamphlet discussing it in depth may be found here:
Since everything we do every day with our horses is interrelated, I will demonstrate with these articles specific connections between the various tiers, and how they can be used to facilitate the training of the horse at every level. The vast majority of riders and horses are at Training Level, but what the reader must understand is that this is the MOST IMPORTANT level, for horse and rider. A good education in the beginning secures the future of every dressage horse and every aspiring dressage rider. ~Stacy C. Williams

Bend: Is it the Origin of  Self-Carriage?

The USDF Training Pyramid lists Relaxation(with Elasticity and Suppleness) as the second tier of training, following Rhythm(with Energy and Tempo). The complete description of Relaxation goes on to state: “Relaxation refers to the horse’s mental state (calmness without anxiety or nervousness), as well as his physical state (the absence of negative muscular tension). Usually, the mental and physical states go hand in hand. The horse learns to accept the influence of the rider without becoming tense. He acquires positive muscle tone so that he moves with elasticity and a supple, swinging back, allowing the rider to bend him laterally as well as lengthen and shorten his frame.”
With the assumption that all readers agree about the importance of the mental state in the horse’s training, I will elaborate in this article on the last sentence, which refers directly to lateral and longitudinal suppleness. The lateral suppleness, and the horse’s acceptance of the rider’s bending aids, directly affect his longitudinal suppleness(the stretch through the topline). It is this suppleness that teaches the horse how to carry his body correctly on the line of travel so that he is ultimately able to carry himself in balance. The balance created in turn develops the horse’s self-carriage. How does bend influence balance? Can you have a well-balanced horse traveling with adequate engagement and self-carriage for the level, without correct bend? Take a look at the score sheet for nearly any Dressage test. Count how many times bend and balance, often together, are mentioned in the directive idea box for the movements. As an example, in the 2015 Third Level Test 3, bend or balance are mentioned seventeen times. Furthermore, the words “engagement” and/or “self-carriage” are mentioned seventeen times, again, often together. In a test which contains 24 scored movements, those four words are mentioned 34 times in the Directive Ideas. Engagement and self-carriage are inextricably linked to balance, and balance develops from sufficient and correctly executed bend, which becomes the framework for each of these other states of being. As they are all very closely linked concepts, none of them can exist in any degree of quality without the presence of the others. Balance, engagement and self-carriage develop naturally from correctly executed bend, step by step, ride by ride, year by year.
What do we mean when we use the term bend as it relates to riding? Bend, in simple terms, means that the horse’s body is shaped to match the line of travel. The degree of bend required is different for a green horse as opposed to a Grand Prix horse. The bend must not only be sufficient to match the line of travel, it must also be precisely executed in order to be of any use in creating the other states of being. There are many ways a horse can attempt to offer bend, but only one way is correct. Each body part, and each leg, must stay fully on the line of travel. This is not such an easy criteria to fulfill. Every horse, and every rider, is asymmetrical to some degree. We all have a stiff side, and, a dexterous side. We all have a hand or foot that is more agile, and, one that is stronger. Think about which hip you put your child on. Think about which foot you use to operate the pedals in your vehicle. The hip you put your child on is the strong hip. The foot you use to operate the pedals is the dexterous foot. I am betting that for most people reading this, those are not the same sides of the body, unless you have had some sort of injury that has forced you to change to the other side for carrying out these tasks. Your horse is no different. Watch him lower his head to eat hay off the ground in his stall. Which foot is forward, and which is back? Which front hoof has a tendency to get too much heel, and which one tends to get too much toe? The forward foot generally gets too much toe, and, the foot that is placed under the sternum usually gets too much heel. This asymmetry affects the way he moves. It is normal. It is the job of the rider to address her own asymmetry, as well as her horse’s asymmetry. It is a never-ending job and very few horses or riders are ever one hundred percent symmetrical. This is where correct bending under saddle becomes indispensable as a tool to develop balance, engagement and self-carriage. In order to bend correctly, BOTH of the horse’s shoulders must travel in such a way that both front legs reach freely forward towards the line of travel. The hind legs must do the same. Any minute deviation from the line of travel in any limb or section of the horse creates an automatic loss of correct bend, and therefore instantly reduces balance, preventing the horse from being able to fully engage and thus carry itself.
Riders must recognize that MORE bend is not necessarily the answer, nor is “more” necessarily what judges mean when they mention it on your score sheets. “More” cannot exist, if “correct” does not come first. Next time you hang out with your horse, observe him balancing himself in his natural state. For example, consider the simple act of biting a fly on his flank. Your horse balances himself by compressing the inside of his body and stretching the outside, pushing his shoulders and belly out as the head and hips come in. We as riders can use the horse’s innate sense of balance to our advantage, just by making this one observation. We can use this biomechanical reality of how a horse’s body functions to control him if he becomes unruly, by exaggerating the placement of the head and hips to the inside, in order to prevent him from bolting away from a scary object. But we can also use our knowledge of this tendency to fine tune that bend to such a degree that we create a very heightened state of balance that places those shoulders directly in front of the horse’s hind legs, its engine. Every time we place our horse in perfect bend, we require the horse to place slightly more weight on the hind leg that is to the inside of that bend. That creates strength in the glutes and hamstrings of that hind leg with repetition, no different than the human athlete who does squats to create more strength in the same muscles. This is why it is so important to change direction frequently. It is a known quantity that muscles get stronger from repeated cycles of stress and rest. The other thing that happens to that inside hind leg is that its joints must also take more weight, and flex more deeply. It is in this heightened state of flexion(“engagement”) that the power for extension is created. So long as the rider allows the horse to direct the energy created in movement away from the line of travel(i.e. a habitually bulging shoulder or hind leg that is always placed just to the inside-which not accidentally tend to go hand in hand), that energy is wasted because it is unable to be used for the purpose improving balance, engagement and self-carriage. Bend, properly employed, aligns the horse's body so that the energy created goes the right direction for our purposes. It takes a lot longer to fill forty 100 gallon water troughs if there are ten leaks in the hose than it does if the hose is solid and distributing the energy of the water flow directly to the intended line of travel-said water troughs.
Riders must recognize that it is their duty to notice every footfall, and further notice any time any part of the horse’s body leaves the line of travel. All the cogs in the wheel must stay in total alignment for maximum efficiency. The more a rider notices, the more times she can make adjustments to her horse’s alignment on that line of travel. It is vitally important at that point, once she has noticed, and made the correction, to then LET GO(“self-carriage”) to a certain degree(please don’t drop your horse on his head by abandoning your own self-carriage), to see how well the horse has understood. This letting go, this uberstreichen, is what allows the horse to learn how to carry himself in balance in the unnatural state of carrying a rider whose way of being (vertical) is completely opposite to the horse’s way of being(horizontal). Imagine carrying a backpack that lies perpendicular to your back and consider just how much that would affect your balance. Now imagine that backpack wiggling around with no control over its own balance, but then punishing you every time you lost yours while struggling underneath its ineptitude. We have to notice the horse’s failure to stay on the line of travel with each body part, and, show it the way. But, we also have to understand our own duty in affecting that very delicate balance, by being as impeccable with our own positional alignment as we expect our horses to be.
It might seem contradictory to consider bend in creating balance when one considers that we also have to ride on a straight line. It is easy enough to ride on a circle and get the horse to reach through his topline and remain in adequate balance. But the minute the horse is asked to leave the circle and carry on down the rail, riders have a very bad habit of forgetting to ride and letting the rail take over the job of directing her horse on the line of travel. Experienced riders always ride in shoulder-fore. It is a cliché in dressage, that a straight horse is ridden in shoulder-fore. But this “straightness” is achieved with-wait for it-BEND. Not much, mind you. But just enough. Just enough to require the horse to narrow his shoulders, and shift them inward so that they line up in front of the inside hind leg. In order for the horse to take this shape, he must, by sheer force of his biomechanics, displace his ribs ever so slightly away from his riders inside leg. This is the beginning of bend. It is this ability to keep the thought of bend even on a straight line that allows the more experienced rider to keep her horse better connected, aligned and balanced no matter where she is in the arena. This is why “Relaxation with Elasticity and Suppleness” comes before Straightness on the training scale. Consider the following excerpt from an article in the May 2005 issue of Dressage Today, written by Sandra Adair about a 2005 symposium conducted by the Houston Dressage Society, which featured Robert Dover. The author writes that Mr. Dover explained the basics as follows: “The driving aids-the seat(back, trunk, weight) and both legs-generate forward motion; the bending aids-both legs and the inside rein-work together to produce straightness; one regulating aid-the outside rein-helps the rider control the effects of the first two sets of aids, and, adjusts the rhythm, flexibility and ultimately the balance of the horse.” (I will point out that I do think the author meant tempo vs. rhythm.) Notice the part I highlight. The BENDING aids produce straightness.
The Dressage test writing committee is very careful to write the tests in such a way as to help the riders better train their horses. In every test, riders are given the opportunity to establish the bend and balance in the first two movements. Read every test, from Intro A through Second level. The second movement box in every one of those tests reads “C track right/left”. In the Directive Ideas box, in each of those tests, the very first thing mentioned is “bend and balance in turn”. It is the rider who asks her horse to turn directly off the line from her outside aids with no deviation outward, asking with her inside leg to stay upright as he wraps himself around that supporting leg to take the exact shape of the line of travel as he makes that turn, who is setting her horse up for the balance needed to progress from just started to Grand Prix in the least amount of time, with the most correct muscling. So many riders spend hours upon hours trying to get a better trot lengthening, but how many realize that it was in the turn through the corner that their horse was either prepared or unprepared to be engaged enough and balanced enough to comply with the request? The devil is in the details. The photo at the end of this article shows a centerline, turn, medium trot sequence that earned an 8 and a 7 in a Second level test. Photo credit goes to Pam Olsen, Notice the placement of the inside leg of the rider(myself), supporting the bend through the turn. For top scores, my horse could have been even more engaged behind, and his shoulders would have then been even more uphill, preventing his inside front leg from coming even slightly behind the vertical in the stance phase. I could have accomplished that by asking him to be even more correctly on the line of travel with his haunches with my outside lower leg, and, I could have kept my hips, shoulders and hands more level, preventing him from dropping his inside shoulder in spite of the good placement of my inside leg. The ever so slightly lower inside ear and my inside hand acting in a backward fashion are dead giveaways that his shoulders weren’t totally level in the turn. My trunk and seat could have done a better job backing up my correct inside leg.

My goal in writing this article is that I impress upon the reader the profound role correctly executed bend plays in the development of balance, engagement and self-carriage of the horse. The moral of the story is this: The next time you get back your Training level test, and the judge has commented on bend(listed nine times over the course of thirteen movements in 2015 Training Level test 3), I hope you will take the judge’s advice to heart. I hope you will really, truly, and deeply assess your understanding of just exactly how your horse is executing bend. Are you teaching your horse to bend in such a way that its balance improves? If so, then, engagement and self-carriage will most likely become happy by-products of this very basic directive. Dressage, correctly and thoughtfully practiced, is a wonderfully systematic way of developing a horse that allows him to learn everything in a gradual way, and therefore develop his strength in an equally gradual way. Riders will do themselves and their horses a huge favor to really understand the directive ideas as they relate to the Training Pyramid. This method of training we call dressage is what makes the plain horse beautiful, and, the talented horse reach its full potential.

On Lightness and Harmony

If the rider's aids are precise and well-timed(QUICK), there is no need for strength. That is the lightness we're seeking: a precise...